**File:**
'''
Record 1
{"formula": "CsY2N", "functional": "PBE-GGA", "state": "optimized geometry", "lattice": [[-4.022, 2.586, -5.734], [1.027, -6.445, -3.627], [-5.890, -3.871, -2.475]], "species": ["Y", "Y", "Y", "Y", "Cs", "Cs", "N", "N"], "fractional_positions": [[0.375, 0.624, 0.750], [0.875, 0.626, 0.750], [0.374, 0.625, 0.250], [0.376, 0.125, 0.250], [0.000, 0.000, 0.000], [0.750, 0.250, 0.500], [0.500, 0.500, 0.000], [0.250, 0.750, 0.500]], "volume_a3_per_cell": 294.6, "crystal_system": "cubic", "e_form_raw_kj_per_mol_atoms": -29.4, "energy_ha_per_atom": -0.214}



Record 2
{"formula": "KBeHg2W", "functional": "PBE-GGA", "state": "optimized geometry", "lattice": [[-2.362, 2.135, -4.430], [-4.188, -4.924, -0.140], [-3.420, 2.818, 3.182]], "species": ["K", "Hg", "Hg", "W", "Be"], "fractional_positions": [[0.000, 0.500, 0.000], [0.000, 0.000, 0.500], [0.500, 0.000, 0.000], [0.000, 0.000, 0.000], [0.500, 0.500, 0.500]], "volume_a3_per_cell": 192.4, "crystal_system": "tetragonal", "energy_ha_per_atom": -0.075, "delta_e_f_ev_per_atom": 1.6249}



Record 3
{"formula": "NaH11Rh5", "functional": "PBE-GGA", "state": "optimized geometry", "lattice": [[5.850, 1.653, -0.689], [-2.125, 4.721, -2.145], [0.428, -1.140, 5.470]], "species": ["H", "H", "H", "H", "H", "H", "H", "H", "H", "H", "H", "Rh", "Rh", "Rh", "Rh", "Rh", "Na"], "fractional_positions": [[0.296, 0.507, 0.507], [0.100, 0.827, 0.538], [0.663, 0.738, 0.152], [0.663, 0.152, 0.738], [0.704, 0.493, 0.493], [0.337, 0.848, 0.262], [0.900, 0.462, 0.173], [0.900, 0.173, 0.462], [0.337, 0.262, 0.848], [0.100, 0.538, 0.827], [0.500, 0.000, 0.000], [0.380, 0.605, 0.881], [0.620, 0.395, 0.119], [0.620, 0.119, 0.395], [0.000, 0.500, 0.500], [0.380, 0.881, 0.605], [0.000, 0.000, 0.000]], "volume_a3_per_cell": 154.2, "crystal_system": "monoclinic", "energy_ha_per_atom": -0.161}



Record 4
{"formula": "K2ZnF", "functional": "PBE-GGA", "state": "optimized geometry", "lattice": [[-1.758, 2.847, 0.875], [-3.000, -1.316, -1.746], [-5.093, -7.597, 14.476]], "species": ["K", "K", "K", "K", "F", "F", "Zn", "Zn"], "fractional_positions": [[0.500, 0.000, 0.402], [0.500, 0.500, 0.902], [0.500, 0.500, 0.214], [0.500, 0.000, 0.714], [0.000, 0.000, 0.832], [0.000, 0.500, 0.332], [0.000, 0.000, 0.067], [0.000, 0.500, 0.567]], "relative_energy_mev_per_atom": 98, "volume_a3_per_cell": 219.9, "crystal_system": "orthorhombic", "e_form_raw_kj_per_mol_atoms": -113.0, "energy_ha_per_atom": -0.092}



Record 5
{"formula": "PmScCu2Ge2", "functional": "PBE-GGA", "state": "optimized geometry", "lattice": [[4.238, 0.000, 0.000], [-2.119, 3.670, 0.000], [0.000, 0.000, 7.125]], "species": ["Sc", "Pm", "Ge", "Ge", "Cu", "Cu"], "fractional_positions": [[0.000, 0.000, 0.500], [0.000, 0.000, 0.000], [0.333, 0.667, 0.272], [0.667, 0.333, 0.728], [0.333, 0.667, 0.695], [0.667, 0.333, 0.305]], "volume_a3_per_cell": 110.8, "crystal_system": "trigonal", "energy_ha_per_atom": -0.199, "delta_e_f_ev_per_atom": -0.6650}



Record 6
{"formula": "CaNd3", "functional": "PBE-GGA", "state": "optimized geometry", "lattice": [[-7.059, 0.610, 2.459], [3.256, -6.743, -0.416], [2.011, 0.625, 5.618]], "species": ["Nd", "Nd", "Nd", "Nd", "Nd", "Nd", "Ca", "Ca"], "fractional_positions": [[0.836, 0.671, 0.750], [0.164, 0.329, 0.250], [0.329, 0.164, 0.750], [0.671, 0.836, 0.250], [0.836, 0.164, 0.750], [0.164, 0.836, 0.250], [0.333, 0.667, 0.750], [0.667, 0.333, 0.250]], "relative_energy_mev_per_atom": 41, "volume_a3_per_cell": 292.2, "crystal_system": "hexagonal", "energy_ha_per_atom": -0.147, "delta_e_f_ev_per_atom": 0.0871}



Record 7
'''
**Assignment:**
Give back the block earlier on from the first line to the one with "[[-7.059, 0.610," exactly, please.
**Result:**
Record 1
{"formula": "CsY2N", "functional": "PBE-GGA", "state": "optimized geometry", "lattice": [[-4.022, 2.586, -5.734], [1.027, -6.445, -3.627], [-5.890, -3.871, -2.475]], "species": ["Y", "Y", "Y", "Y", "Cs", "Cs", "N", "N"], "fractional_positions": [[0.375, 0.624, 0.750], [0.875, 0.626, 0.750], [0.374, 0.625, 0.250], [0.376, 0.125, 0.250], [0.000, 0.000, 0.000], [0.750, 0.250, 0.500], [0.500, 0.500, 0.000], [0.250, 0.750, 0.500]], "volume_a3_per_cell": 294.6, "crystal_system": "cubic", "e_form_raw_kj_per_mol_atoms": -29.4, "energy_ha_per_atom": -0.214}



Record 2
{"formula": "KBeHg2W", "functional": "PBE-GGA", "state": "optimized geometry", "lattice": [[-2.362, 2.135, -4.430], [-4.188, -4.924, -0.140], [-3.420, 2.818, 3.182]], "species": ["K", "Hg", "Hg", "W", "Be"], "fractional_positions": [[0.000, 0.500, 0.000], [0.000, 0.000, 0.500], [0.500, 0.000, 0.000], [0.000, 0.000, 0.000], [0.500, 0.500, 0.500]], "volume_a3_per_cell": 192.4, "crystal_system": "tetragonal", "energy_ha_per_atom": -0.075, "delta_e_f_ev_per_atom": 1.6249}



Record 3
{"formula": "NaH11Rh5", "functional": "PBE-GGA", "state": "optimized geometry", "lattice": [[5.850, 1.653, -0.689], [-2.125, 4.721, -2.145], [0.428, -1.140, 5.470]], "species": ["H", "H", "H", "H", "H", "H", "H", "H", "H", "H", "H", "Rh", "Rh", "Rh", "Rh", "Rh", "Na"], "fractional_positions": [[0.296, 0.507, 0.507], [0.100, 0.827, 0.538], [0.663, 0.738, 0.152], [0.663, 0.152, 0.738], [0.704, 0.493, 0.493], [0.337, 0.848, 0.262], [0.900, 0.462, 0.173], [0.900, 0.173, 0.462], [0.337, 0.262, 0.848], [0.100, 0.538, 0.827], [0.500, 0.000, 0.000], [0.380, 0.605, 0.881], [0.620, 0.395, 0.119], [0.620, 0.119, 0.395], [0.000, 0.500, 0.500], [0.380, 0.881, 0.605], [0.000, 0.000, 0.000]], "volume_a3_per_cell": 154.2, "crystal_system": "monoclinic", "energy_ha_per_atom": -0.161}



Record 4
{"formula": "K2ZnF", "functional": "PBE-GGA", "state": "optimized geometry", "lattice": [[-1.758, 2.847, 0.875], [-3.000, -1.316, -1.746], [-5.093, -7.597, 14.476]], "species": ["K", "K", "K", "K", "F", "F", "Zn", "Zn"], "fractional_positions": [[0.500, 0.000, 0.402], [0.500, 0.500, 0.902], [0.500, 0.500, 0.214], [0.500, 0.000, 0.714], [0.000, 0.000, 0.832], [0.000, 0.500, 0.332], [0.000, 0.000, 0.067], [0.000, 0.500, 0.567]], "relative_energy_mev_per_atom": 98, "volume_a3_per_cell": 219.9, "crystal_system": "orthorhombic", "e_form_raw_kj_per_mol_atoms": -113.0, "energy_ha_per_atom": -0.092}



Record 5
{"formula": "PmScCu2Ge2", "functional": "PBE-GGA", "state": "optimized geometry", "lattice": [[4.238, 0.000, 0.000], [-2.119, 3.670, 0.000], [0.000, 0.000, 7.125]], "species": ["Sc", "Pm", "Ge", "Ge", "Cu", "Cu"], "fractional_positions": [[0.000, 0.000, 0.500], [0.000, 0.000, 0.000], [0.333, 0.667, 0.272], [0.667, 0.333, 0.728], [0.333, 0.667, 0.695], [0.667, 0.333, 0.305]], "volume_a3_per_cell": 110.8, "crystal_system": "trigonal", "energy_ha_per_atom": -0.199, "delta_e_f_ev_per_atom": -0.6650}



Record 6
{"formula": "CaNd3", "functional": "PBE-GGA", "state": "optimized geometry", "lattice": [[-7.059, 0.610, 2.459], [3.256, -6.743, -0.416], [2.011, 0.625, 5.618]], "species": ["Nd", "Nd", "Nd", "Nd", "Nd", "Nd", "Ca", "Ca"], "fractional_positions": [[0.836, 0.671, 0.750], [0.164, 0.329, 0.250], [0.329, 0.164, 0.750], [0.671, 0.836, 0.250], [0.836, 0.164, 0.750], [0.164, 0.836, 0.250], [0.333, 0.667, 0.750], [0.667, 0.333, 0.250]], "relative_energy_mev_per_atom": 41, "volume_a3_per_cell": 292.2, "crystal_system": "hexagonal", "energy_ha_per_atom": -0.147, "delta_e_f_ev_per_atom": 0.0871}